(Source)
<<<
Material: InPb2Au2
Method: DFT, PBE-GGA
State: relaxed

The energy of formation is 0.04 eV per atom. For the density of states at the Fermi level, the calculation gives 0.365 states/eV per atom. The calculation puts the energy relative to the lowest polymorph listed for this composition at 0.68 eV per formula unit. Its energy is -3.30 eV/atom.

Cell: 8.6236 8.6236 3.5084 Å, 90.00 90.00 90.00°
Last column: nearest neighbours and their distance in Å.
Fractional positions:
In 0.0000 0.0000 0.0000  4 Pb 3.32, 2 In 3.51, 8 Au 3.69
In 0.5000 0.5000 0.0000  4 Pb 3.32, 2 In 3.51, 8 Au 3.69
Pb 0.1422 0.3578 0.0000  6 Au 3.01-3.13, 2 In 3.32
Pb 0.3578 0.8578 0.0000  6 Au 3.01-3.13, 2 In 3.32
Pb 0.6422 0.1422 0.0000  6 Au 3.01-3.13, 2 In 3.32
Pb 0.8578 0.6422 0.0000  6 Au 3.01-3.13, 2 In 3.32
Au 0.1575 0.6575 0.5000  6 Pb 3.01-3.13
Au 0.3425 0.1575 0.5000  6 Pb 3.01-3.13
Au 0.6575 0.8425 0.5000  6 Pb 3.01-3.13
Au 0.8425 0.3425 0.5000  6 Pb 3.01-3.13

~~~~~

Entry 1:
# Rb6Sb2Pd

Rb6Sb2Pd after structural relaxation (PBE, the Alexandria database).

Output
- Space-group type: No. 166
- ΔE_f (raw): -0.307 eV/atom
- Fermi-level density of states: 3.9 states/eV/cell

Cell lengths 11.775, 11.775, 11.775 Å; angles 31.10, 31.10, 31.10 degrees
Fractional coordinates of all 9 atoms:
Rb  0.080  0.080  0.080
Rb  0.195  0.195  0.195
Rb  0.308  0.308  0.308
Rb  0.692  0.692  0.692
Rb  0.805  0.805  0.805
Rb  0.920  0.920  0.920
Sb  0.419  0.419  0.419
Sb  0.581  0.581  0.581
Pd  0.500  0.500  0.500

Entry 2:
# CuNiSn3

CuNiSn3 after structural relaxation (PBE, the Alexandria database).

Output
- Space-group type: No. 221
- Formation energy from the elements: 7.4 kcal/mol of atoms
- Fermi-level density of states: 2.7 states/eV/cell

Cell lengths 4.937, 4.937, 4.937 Å; angles 90.00, 90.00, 90.00 degrees
Fractional coordinates of all 5 atoms:
Cu  0.000  0.000  0.000
Ni  0.500  0.500  0.500
Sn  0.000  0.500  0.500
Sn  0.500  0.000  0.500
Sn  0.500  0.500  0.000

~~~~~

[1]
# Nd2Si4NiRh3 (PBE, relaxed)
data_Nd2Si4NiRh3
_space_group_name_H-M_alt 'P 1'
_space_group_IT_number 1
_space_group_name_Hall 'P 1'
_cell_length_a 4.178
_cell_length_b 4.178
_cell_length_c 9.799
_cell_angle_alpha 90.00
_cell_angle_beta 90.00
_cell_angle_gamma 90.00
loop_
_atom_site_label
_atom_site_fract_x
_atom_site_fract_y
_atom_site_fract_z
_atom_site_occupancy
Ni1 0.500 0.500 0.500 1
Nd1 0.000 0.500 0.752 1
Nd2 0.500 0.000 0.248 1
Si1 0.000 0.500 0.375 1
Si2 0.000 0.000 0.000 1
Si3 0.500 0.500 0.000 1
Si4 0.500 0.000 0.625 1
Rh1 0.000 0.000 0.500 1
Rh2 0.500 0.000 0.873 1
Rh3 0.000 0.500 0.127 1
# ΔE_f (raw) ... -0.94 eV per atom
# D(E_F) ... 0.856 states/eV per atom
# SG ... No. 115
# M_tot ... 0.00 μB/f.u.

=====

[2]
# LiY2HAu (PBE, relaxed)
data_LiY2HAu
_space_group_name_H-M_alt 'P 1'
_space_group_IT_number 1
_space_group_name_Hall 'P 1'
_cell_length_a 4.946
_cell_length_b 4.946
_cell_length_c 3.801
_cell_angle_alpha 90.00
_cell_angle_beta 90.00
_cell_angle_gamma 90.00
loop_
_atom_site_label
_atom_site_fract_x
_atom_site_fract_y
_atom_site_fract_z
_atom_site_occupancy
Li1 0.000 0.000 0.500 1
Au1 0.500 0.500 0.500 1
H1 0.000 0.000 0.000 1
Y1 0.500 0.000 0.000 1
Y2 0.000 0.500 0.000 1
# D(E_F) ... 0.552 states/eV per atom
# SG ... No. 123
# M_tot ... 0.00 μB/f.u.
# E ... -0.177 hartree per atom

=====

[3]
# Ti6H3C2N (PBE, relaxed)
data_Ti6H3C2N
_space_group_name_H-M_alt 'P 1'
_space_group_IT_number 1
_space_group_name_Hall 'P 1'
_cell_length_a 5.318
_cell_length_b 5.318
_cell_length_c 5.143
_cell_angle_alpha 100.09
_cell_angle_beta 100.09
_cell_angle_gamma 119.97
loop_
_atom_site_label
_atom_site_fract_x
_atom_site_fract_y
_atom_site_fract_z
_atom_site_occupancy
H1 0.500 0.500 0.500 1
H2 0.833 0.167 0.500 1
H3 0.167 0.833 0.500 1
Ti1 0.251 0.251 0.768 1
Ti2 0.591 0.921 0.767 1
Ti3 0.749 0.749 0.232 1
Ti4 0.079 0.409 0.233 1
Ti5 0.409 0.079 0.233 1
Ti6 0.921 0.591 0.767 1
C1 0.333 0.667 0.000 1
C2 0.667 0.333 0.000 1
N1 0.000 0.000 0.000 1
# D(E_F) ... 0.616 states/eV per atom
>>>

(Activity)
Now retype everything above character by character.

(Solution)
Material: InPb2Au2
Method: DFT, PBE-GGA
State: relaxed

The energy of formation is 0.04 eV per atom. For the density of states at the Fermi level, the calculation gives 0.365 states/eV per atom. The calculation puts the energy relative to the lowest polymorph listed for this composition at 0.68 eV per formula unit. Its energy is -3.30 eV/atom.

Cell: 8.6236 8.6236 3.5084 Å, 90.00 90.00 90.00°
Last column: nearest neighbours and their distance in Å.
Fractional positions:
In 0.0000 0.0000 0.0000  4 Pb 3.32, 2 In 3.51, 8 Au 3.69
In 0.5000 0.5000 0.0000  4 Pb 3.32, 2 In 3.51, 8 Au 3.69
Pb 0.1422 0.3578 0.0000  6 Au 3.01-3.13, 2 In 3.32
Pb 0.3578 0.8578 0.0000  6 Au 3.01-3.13, 2 In 3.32
Pb 0.6422 0.1422 0.0000  6 Au 3.01-3.13, 2 In 3.32
Pb 0.8578 0.6422 0.0000  6 Au 3.01-3.13, 2 In 3.32
Au 0.1575 0.6575 0.5000  6 Pb 3.01-3.13
Au 0.3425 0.1575 0.5000  6 Pb 3.01-3.13
Au 0.6575 0.8425 0.5000  6 Pb 3.01-3.13
Au 0.8425 0.3425 0.5000  6 Pb 3.01-3.13

~~~~~

Entry 1:
# Rb6Sb2Pd

Rb6Sb2Pd after structural relaxation (PBE, the Alexandria database).

Output
- Space-group type: No. 166
- ΔE_f (raw): -0.307 eV/atom
- Fermi-level density of states: 3.9 states/eV/cell

Cell lengths 11.775, 11.775, 11.775 Å; angles 31.10, 31.10, 31.10 degrees
Fractional coordinates of all 9 atoms:
Rb  0.080  0.080  0.080
Rb  0.195  0.195  0.195
Rb  0.308  0.308  0.308
Rb  0.692  0.692  0.692
Rb  0.805  0.805  0.805
Rb  0.920  0.920  0.920
Sb  0.419  0.419  0.419
Sb  0.581  0.581  0.581
Pd  0.500  0.500  0.500

Entry 2:
# CuNiSn3

CuNiSn3 after structural relaxation (PBE, the Alexandria database).

Output
- Space-group type: No. 221
- Formation energy from the elements: 7.4 kcal/mol of atoms
- Fermi-level density of states: 2.7 states/eV/cell

Cell lengths 4.937, 4.937, 4.937 Å; angles 90.00, 90.00, 90.00 degrees
Fractional coordinates of all 5 atoms:
Cu  0.000  0.000  0.000
Ni  0.500  0.500  0.500
Sn  0.000  0.500  0.500
Sn  0.500  0.000  0.500
Sn  0.500  0.500  0.000

~~~~~

[1]
# Nd2Si4NiRh3 (PBE, relaxed)
data_Nd2Si4NiRh3
_space_group_name_H-M_alt 'P 1'
_space_group_IT_number 1
_space_group_name_Hall 'P 1'
_cell_length_a 4.178
_cell_length_b 4.178
_cell_length_c 9.799
_cell_angle_alpha 90.00
_cell_angle_beta 90.00
_cell_angle_gamma 90.00
loop_
_atom_site_label
_atom_site_fract_x
_atom_site_fract_y
_atom_site_fract_z
_atom_site_occupancy
Ni1 0.500 0.500 0.500 1
Nd1 0.000 0.500 0.752 1
Nd2 0.500 0.000 0.248 1
Si1 0.000 0.500 0.375 1
Si2 0.000 0.000 0.000 1
Si3 0.500 0.500 0.000 1
Si4 0.500 0.000 0.625 1
Rh1 0.000 0.000 0.500 1
Rh2 0.500 0.000 0.873 1
Rh3 0.000 0.500 0.127 1
# ΔE_f (raw) ... -0.94 eV per atom
# D(E_F) ... 0.856 states/eV per atom
# SG ... No. 115
# M_tot ... 0.00 μB/f.u.

=====

[2]
# LiY2HAu (PBE, relaxed)
data_LiY2HAu
_space_group_name_H-M_alt 'P 1'
_space_group_IT_number 1
_space_group_name_Hall 'P 1'
_cell_length_a 4.946
_cell_length_b 4.946
_cell_length_c 3.801
_cell_angle_alpha 90.00
_cell_angle_beta 90.00
_cell_angle_gamma 90.00
loop_
_atom_site_label
_atom_site_fract_x
_atom_site_fract_y
_atom_site_fract_z
_atom_site_occupancy
Li1 0.000 0.000 0.500 1
Au1 0.500 0.500 0.500 1
H1 0.000 0.000 0.000 1
Y1 0.500 0.000 0.000 1
Y2 0.000 0.500 0.000 1
# D(E_F) ... 0.552 states/eV per atom
# SG ... No. 123
# M_tot ... 0.00 μB/f.u.
# E ... -0.177 hartree per atom

=====

[3]
# Ti6H3C2N (PBE, relaxed)
data_Ti6H3C2N
_space_group_name_H-M_alt 'P 1'
_space_group_IT_number 1
_space_group_name_Hall 'P 1'
_cell_length_a 5.318
_cell_length_b 5.318
_cell_length_c 5.143
_cell_angle_alpha 100.09
_cell_angle_beta 100.09
_cell_angle_gamma 119.97
loop_
_atom_site_label
_atom_site_fract_x
_atom_site_fract_y
_atom_site_fract_z
_atom_site_occupancy
H1 0.500 0.500 0.500 1
H2 0.833 0.167 0.500 1
H3 0.167 0.833 0.500 1
Ti1 0.251 0.251 0.768 1
Ti2 0.591 0.921 0.767 1
Ti3 0.749 0.749 0.232 1
Ti4 0.079 0.409 0.233 1
Ti5 0.409 0.079 0.233 1
Ti6 0.921 0.591 0.767 1
C1 0.333 0.667 0.000 1
C2 0.667 0.333 0.000 1
N1 0.000 0.000 0.000 1
# D(E_F) ... 0.616 states/eV per atom